**Exercise**
Next, echo the entries further below from the line with "-1.2939 -0.20" to the end verbatim.

**Entries**
+++
(1)
The following is a quantum chemistry calculation of a gas-phase ion, C9H12BrN2 (charge +1), from the Open Molecules 2025 dataset.

```
24
Properties=species:S:1:pos:R:3:forces:R:3
C 0.9179 -0.4385 2.1663 0.70 0.91 0.02
C -0.4031 -0.6618 1.7616 -0.37 -0.60 -0.62
C 0.6100 0.3028 0.0743 1.90 0.21 -2.56
C 1.5508 2.9443 -0.1254 -0.11 -0.45 -0.78
C -1.4328 -2.9231 -0.7803 3.03 -3.23 -1.71
C 1.5638 2.1856 -1.2261 0.40 -0.72 1.43
C -2.1874 -1.9713 -0.2325 -3.96 2.99 1.61
C 1.0575 0.7568 -1.2839 -1.31 0.87 -0.89
C -1.8426 -0.5306 -0.3780 -1.21 -0.42 3.71
N 1.5563 0.2167 1.0759 -3.65 -3.40 2.91
N -0.5134 -0.1968 0.5137 -2.35 0.08 -1.75
Br -3.1424 0.6112 0.6800 0.35 -0.70 -0.74
H 1.2862 -0.6159 3.1989 0.20 0.29 -1.24
H -1.3200 -1.1579 2.0769 0.56 -0.01 0.92
H 2.0427 3.9210 -0.1577 -0.50 -0.31 0.36
H 1.0296 2.5422 0.7581 0.43 0.84 -0.25
H -1.7495 -3.9651 -0.7197 0.19 0.33 -0.12
H -0.4778 -2.7271 -1.2972 -0.60 -0.08 0.30
H 2.0492 2.4695 -2.1172 0.51 0.66 -0.88
H -3.2478 -2.3342 0.1799 2.53 1.47 -0.65
H 1.7137 0.0868 -1.8682 0.68 -0.04 1.14
H 0.2999 0.7772 -2.0874 -0.73 -0.03 0.87
H -1.7393 0.0125 -1.2765 0.49 0.05 -1.18
H 2.3785 0.6957 1.0646 2.83 1.30 0.11
```
Forces are in eV/Å.

**Energy**: -82535.8359 eV
**Multiplicity**: 3
**Gap between HOMO and LUMO (alpha / beta)**: 4.5 / 4.2 eV
**Charge**: +1
**HOMO level (alpha / beta)**: -8.49 / -12.71 eV

(2)
The following is a quantum chemistry calculation of 2 unconnected molecules or ions with the total composition C6H16, from the Open Molecules 2025 dataset.

```
22
Properties=species:S:1:pos:R:3:forces:R:3
C -1.6010 2.2139 -0.6980 0.24 0.37 0.17
C -0.6307 1.4182 0.1814 -0.19 -0.17 -0.78
C -1.8672 1.7079 -2.1202 0.08 -0.52 -0.23
H -1.2158 3.2240 -0.8462 0.11 0.05 0.34
H -2.5287 2.3271 -0.1360 -0.17 0.10 -0.21
H -0.1264 2.0321 0.9250 -0.06 0.05 0.03
H -1.1454 0.6061 0.6860 -0.06 -0.02 0.09
H -1.8985 2.5751 -2.7781 -0.44 -0.13 -0.18
H -2.7629 1.0932 -2.2274 -0.23 0.34 0.10
H 0.1142 0.9561 -0.4666 0.21 0.07 0.17
H -1.0989 1.0604 -2.5569 0.37 0.16 0.44
C 0.8695 -1.4151 0.7042 1.54 -0.91 0.02
C 0.8019 -2.9204 0.9624 0.23 -1.14 -1.75
C 2.2168 -0.7949 1.0872 -0.41 0.68 0.90
H 0.7990 -1.1745 -0.3523 -0.63 -0.36 -0.18
H 0.0403 -1.0036 1.2396 -0.28 0.71 0.13
H 1.7353 -3.4895 0.8598 0.43 0.67 0.69
H 0.3376 -3.4064 0.0909 -0.81 0.20 0.38
H 2.2667 -0.5615 2.1541 0.15 -0.32 0.09
H 3.0891 -1.3841 0.8131 -0.15 -0.24 -0.08
H 0.2892 -3.2381 1.8628 -0.02 0.14 0.14
H 2.3161 0.1739 0.6150 0.09 0.29 -0.28
```
Forces are in eV/Å.

**Energy**: -6480.8735 eV
**Multiplicity**: 1
**Gap between HOMO and LUMO**: 12.2 eV
**Charge**: 0
**Structure (SMILES)**: CCC.CCC
**HOMO level**: -11.07 eV
**Energy relative to the best compared isomer or geometry (same formula, charge and spin)**: 0.784 eV

(3)
The following is a quantum chemistry calculation of 2 unconnected molecules or ions with the total composition C4H9NO, from the Open Molecules 2025 dataset.

```
15
Properties=species:S:1:pos:R:3:forces:R:3
N -0.3641 1.3241 -0.8029 -0.27 0.56 2.77
C -0.7409 -0.0179 -0.5584 -0.36 2.19 4.21
C -1.1843 -0.3810 0.6972 1.82 -1.11 0.10
C -1.7827 -1.7206 0.8817 -2.01 1.87 5.17
C -2.4534 -2.0805 2.0833 2.38 0.79 -2.66
H 0.4091 1.7186 -1.2935 0.54 -1.00 -1.24
H -0.2259 1.7677 0.1478 -0.66 -0.61 -1.40
H -0.9747 -0.7411 -1.2431 -0.11 -1.06 -2.60
H -0.8704 0.0724 1.6913 -0.69 0.21 -1.61
H -1.8495 -2.3140 0.0414 -0.37 -1.42 -1.64
H -2.9979 -2.9977 2.1061 -0.18 -0.59 -0.02
H -2.3538 -1.5894 3.0722 -0.07 0.17 -1.08
H 4.6239 1.3303 -1.2939 -0.20 -4.19 2.64
H 5.6860 2.1863 -2.0326 -0.56 -0.51 0.42
O 4.7587 2.0623 -1.7748 0.75 4.69 -3.06
```
Forces are in eV/Å.

**Energy**: -7828.9941 eV
**Multiplicity**: 1
**Gap between HOMO and LUMO**: 8.3 eV
**Charge**: 0
**Structure (SMILES)**: C=C/C=C/N.O
**HOMO level**: -7.59 eV
**Energy relative to the best compared isomer or geometry (same formula, charge and spin)**: 3.326 eV
+++

**Response**
H 4.6239 1.3303 -1.2939 -0.20 -4.19 2.64
H 5.6860 2.1863 -2.0326 -0.56 -0.51 0.42
O 4.7587 2.0623 -1.7748 0.75 4.69 -3.06
```
Forces are in eV/Å.

**Energy**: -7828.9941 eV
**Multiplicity**: 1
**Gap between HOMO and LUMO**: 8.3 eV
**Charge**: 0
**Structure (SMILES)**: C=C/C=C/N.O
**HOMO level**: -7.59 eV
**Energy relative to the best compared isomer or geometry (same formula, charge and spin)**: 3.326 eV